[Job]
What is needed: set down the lines underneath up to the one that holds "For Cu19Sn16,", that line included.
[File]
<<<
# 1
For BaSr2BiO4, a GGA-PBE-relaxed structure gives the computed powder X-ray diffraction pattern in this record (λ = 1.5418 Å (Cu Kα)).
Neutral-atom scattering factors, no anomalous dispersion.

Largest 8 diffraction maxima, by angle, 10° ≤ 2θ ≤ 90°:
- 13.0°, d 6.788, rel. 35.3
- 28.6°, d 3.120, rel. 22.1
- 28.8°, d 3.098, rel. 28.2
- 29.7°, d 3.008, rel. 100.0
- 30.7°, d 2.914, rel. 47.1
- 33.2°, d 2.697, rel. 23.7
- 39.0°, d 2.311, rel. 31.7
- 54.6°, d 1.682, rel. 34.0

a = 3.6675 Å, b = 18.5905 Å, c = 9.9372 Å
α = 90.00°, β = 90.00°, γ = 90.00°
Space group Cmcm (No. 63)
Symmetry-distinct sites (fractional):
Ba 0.0000 0.2417 0.2500 [4 per cell]
Sr 0.0000 0.0946 0.5443 [8 per cell]
Bi 0.0000 0.4330 0.7500 [4 per cell]
O 0.0000 0.1580 0.7500 [4 per cell]
O 0.0000 0.3451 0.5990 [8 per cell]
O 0.0000 0.5000 0.0000 [4 per cell]

---

# 2
For Sr5TlZn, a GGA-PBE-relaxed structure gives the computed powder X-ray diffraction pattern in this record (λ = 1.5418 Å (Cu Kα)).
Neutral-atom scattering factors, no anomalous dispersion.

Largest 8 diffraction maxima, by angle, 10° ≤ 2θ ≤ 90°:
- 14.1°, d 6.266, rel. 55.4
- 18.1°, d 4.894, rel. 39.2
- 24.2°, d 3.680, rel. 57.3
- 26.5°, d 3.369, rel. 100.0
- 27.0°, d 3.298, rel. 98.4
- 27.5°, d 3.240, rel. 53.7
- 28.8°, d 3.098, rel. 85.5
- 38.9°, d 2.313, rel. 39.4

a = 13.4406 Å, b = 7.9904 Å, c = 12.4560 Å
α = 90.00°, β = 111.19°, γ = 90.00°
Space group C2/c (No. 15)
Symmetry-distinct sites (fractional):
Sr 0.0000 0.0314 0.2500 [4 per cell]
Sr 0.1138 0.3443 0.0114 [8 per cell]
Sr 0.2248 0.1746 0.6454 [8 per cell]
Tl 0.0000 0.4643 0.2500 [4 per cell]
Zn 0.0000 0.0000 0.0000 [4 per cell]

---

# 3
For Cu19Sn16, a GGA-PBE-relaxed structure gives the computed powder X-ray diffraction pattern in this record (λ = 1.5418 Å (Cu Kα)).
Neutral-atom scattering factors, no anomalous dispersion.

Largest 8 diffraction maxima, by angle, 10° ≤ 2θ ≤ 90°:
- 29.8°, d 3.001, rel. 88.2
- 29.9°, d 2.988, rel. 83.9
- 42.3°, d 2.135, rel. 51.7
- 42.5°, d 2.128, rel. 100.0
- 42.9°, d 2.109, rel. 68.4
- 43.1°, d 2.101, rel. 66.5
- 62.2°, d 1.493, rel. 13.4
- 77.5°, d 1.231, rel. 14.3

a = 7.3642 Å, b = 9.9356 Å, c = 9.9828 Å
α = 118.04°, β = 90.09°, γ = 90.15°
Space group P1 (No. 1)
Symmetry-distinct sites (fractional):
Cu 0.0000 0.0000 0.0000 [1 per cell]
Cu 0.0003 0.2430 0.2569 [1 per cell]
Cu 0.0197 0.7509 0.7449 [1 per cell]
Cu 0.0225 0.5002 0.5019 [1 per cell]
Cu 0.0329 0.2496 0.7468 [1 per cell]
Cu 0.0349 0.9933 0.5077 [1 per cell]
Cu 0.0530 0.5003 0.9957 [1 per cell]
Cu 0.0536 0.7421 0.2565 [1 per cell]
Cu 0.1889 0.7470 0.5059 [1 per cell]
Cu 0.3682 0.6221 0.1231 [1 per cell]
Cu 0.5054 0.6235 0.3731 [1 per cell]
Cu 0.5078 0.8726 0.6301 [1 per cell]
Cu 0.5265 0.3708 0.1274 [1 per cell]
Cu 0.5306 0.1166 0.8815 [1 per cell]
Cu 0.5322 0.8709 0.1240 [1 per cell]
Cu 0.5345 0.6146 0.8839 [1 per cell]
Cu 0.5360 0.3665 0.6276 [1 per cell]
Cu 0.5376 0.1290 0.3722 [1 per cell]
Cu 0.6884 0.1210 0.1270 [1 per cell]
Sn 0.1825 0.4690 0.2426 [1 per cell]
Sn 0.1845 0.7606 0.9923 [1 per cell]
Sn 0.1870 0.0153 0.7737 [1 per cell]
Sn 0.1917 0.2468 0.4976 [1 per cell]
Sn 0.3290 0.1200 0.1292 [1 per cell]
Sn 0.3620 0.6099 0.6396 [1 per cell]
Sn 0.3730 0.3515 0.8594 [1 per cell]
Sn 0.3768 0.8971 0.3851 [1 per cell]
Sn 0.6832 0.8526 0.8590 [1 per cell]
Sn 0.6840 0.3929 0.3934 [1 per cell]
Sn 0.6995 0.1175 0.6271 [1 per cell]
Sn 0.7273 0.6206 0.1300 [1 per cell]
Sn 0.8297 0.7485 0.4971 [1 per cell]
Sn 0.8632 0.2613 0.9919 [1 per cell]
Sn 0.8697 0.4981 0.7535 [1 per cell]
Sn 0.8744 0.9823 0.2596 [1 per cell]

---

# 4
For PmSm6In5, a GGA-PBE-relaxed structure gives the computed powder X-ray diffraction pattern in this record (λ = 1.5418 Å (Cu Kα)).
Neutral-atom scattering factors, no anomalous dispersion.

Largest 8 diffraction maxima, by angle, 10° ≤ 2θ ≤ 90°:
- 31.9°, d 2.805, rel. 100.0
- 35.3°, d 2.545, rel. 18.7
- 35.5°, d 2.528, rel. 19.4
- 40.1°, d 2.251, rel. 12.7
- 50.9°, d 1.793, rel. 13.0
- 61.2°, d 1.515, rel. 13.6
>>>
[Response]
# 1
For BaSr2BiO4, a GGA-PBE-relaxed structure gives the computed powder X-ray diffraction pattern in this record (λ = 1.5418 Å (Cu Kα)).
Neutral-atom scattering factors, no anomalous dispersion.

Largest 8 diffraction maxima, by angle, 10° ≤ 2θ ≤ 90°:
- 13.0°, d 6.788, rel. 35.3
- 28.6°, d 3.120, rel. 22.1
- 28.8°, d 3.098, rel. 28.2
- 29.7°, d 3.008, rel. 100.0
- 30.7°, d 2.914, rel. 47.1
- 33.2°, d 2.697, rel. 23.7
- 39.0°, d 2.311, rel. 31.7
- 54.6°, d 1.682, rel. 34.0

a = 3.6675 Å, b = 18.5905 Å, c = 9.9372 Å
α = 90.00°, β = 90.00°, γ = 90.00°
Space group Cmcm (No. 63)
Symmetry-distinct sites (fractional):
Ba 0.0000 0.2417 0.2500 [4 per cell]
Sr 0.0000 0.0946 0.5443 [8 per cell]
Bi 0.0000 0.4330 0.7500 [4 per cell]
O 0.0000 0.1580 0.7500 [4 per cell]
O 0.0000 0.3451 0.5990 [8 per cell]
O 0.0000 0.5000 0.0000 [4 per cell]

---

# 2
For Sr5TlZn, a GGA-PBE-relaxed structure gives the computed powder X-ray diffraction pattern in this record (λ = 1.5418 Å (Cu Kα)).
Neutral-atom scattering factors, no anomalous dispersion.

Largest 8 diffraction maxima, by angle, 10° ≤ 2θ ≤ 90°:
- 14.1°, d 6.266, rel. 55.4
- 18.1°, d 4.894, rel. 39.2
- 24.2°, d 3.680, rel. 57.3
- 26.5°, d 3.369, rel. 100.0
- 27.0°, d 3.298, rel. 98.4
- 27.5°, d 3.240, rel. 53.7
- 28.8°, d 3.098, rel. 85.5
- 38.9°, d 2.313, rel. 39.4

a = 13.4406 Å, b = 7.9904 Å, c = 12.4560 Å
α = 90.00°, β = 111.19°, γ = 90.00°
Space group C2/c (No. 15)
Symmetry-distinct sites (fractional):
Sr 0.0000 0.0314 0.2500 [4 per cell]
Sr 0.1138 0.3443 0.0114 [8 per cell]
Sr 0.2248 0.1746 0.6454 [8 per cell]
Tl 0.0000 0.4643 0.2500 [4 per cell]
Zn 0.0000 0.0000 0.0000 [4 per cell]

---

# 3
For Cu19Sn16, a GGA-PBE-relaxed structure gives the computed powder X-ray diffraction pattern in this record (λ = 1.5418 Å (Cu Kα)).